New Mexico Landscapes Field Station: Fire Research
Below are ongoing or completed research projects related to fire at the New Mexico Landscapes Field Station.
Fire history and ecology
Principal Investigator – Ellis Margolis
Wildfire is not a new phenomenon; it has been influencing landscapes and the lives of plants, animals and people for centuries to millennia. Fire in wildlands can increase the resilience of fire-adapted ecosystems, improve wildlife habitat, and reduce future wildfire risk. However, increases in wildfire size, frequency, severity, and duration are changing the landscape of the United States, killing large tracts of forest, affecting air quality and water supplies, as well as threatening lives and property. These changes in fire are highly influenced by human land use and climate change. We combined tree-ring fire scars with modern fire data and other paleo records (for example, lake cores) as part of a place-based science approach to establish a historical record of fire to better understand patterns and drivers of change that inform present-day fire management practices.
Attached: materials data
-- begin --
Compound: CuAg2Pt
Source: Alexandria
Functional: PBE
Structure: relaxed

Cell and atoms, written as extended XYZ:
```
4
Lattice="1.4547 -2.3553 0.0000 1.4547 2.3553 0.0000 0.0000 0.0000 9.3648" Properties=species:S:1:pos:R:3 pbc="T T T"
Cu 0.0000 0.0000 0.0000
Ag 0.0000 0.0000 4.7610
Ag 1.4547 0.0000 2.2491
Pt 1.4547 0.0000 7.2264
```

## Properties
SG = Cmm2
E_form = 0.046 eV/atom
E above lowest polymorph = 65 meV/atom

=====

Compound: Sm8Tl2Hg
Source: Alexandria
Functional: PBE
Structure: relaxed

Cell and atoms, written as extended XYZ:
```
11
Lattice="8.3117 -2.7321 0.0000 8.3117 2.7321 0.0000 -4.5775 0.0000 7.4936" Properties=species:S:1:pos:R:3 pbc="T T T"
Sm 0.1298 0.0000 1.6335
Sm -0.8842 0.0000 5.0936
Sm 2.7988 0.0000 4.1628
Sm 6.5653 0.0000 0.4182
Sm 5.4806 0.0000 7.0754
Sm 9.2471 0.0000 3.3308
Sm 12.9301 0.0000 2.4000
Sm 11.9162 0.0000 5.8601
Tl 3.2216 0.0000 0.9103
Tl 8.8243 0.0000 6.5833
Hg 6.0230 0.0000 3.7468
```

## Properties
SG = C2/m
E_form = -0.206 eV/atom
E above lowest polymorph = 0 meV/atom

=====

Compound: Ca2Fe2N3
Source: Alexandria
Functional: PBE
Structure: relaxed

Cell and atoms, written as extended XYZ:
```
7
Lattice="4.9452 -1.6419 0.0000 4.9452 1.6419 0.0000 -1.5624 0.0000 5.3843" Properties=species:S:1:pos:R:3 pbc="T T T"
Ca 0.5549 0.0000 1.7029
Ca 7.7730 0.0000 3.6813
Fe 3.2037 0.0000 0.4704
Fe 5.1243 0.0000 4.9139
N 0.8422 0.0000 4.0962
N 4.9452 0.0000 0.0000
N 7.4858 0.0000 1.2881
```

## Properties
SG = C2/m
Raw formation energy = -3.66 eV/f.u.

=====

Compound: Zr2ReAu
Source: Alexandria
Functional: PBE
Structure: relaxed

Cell and atoms, written as extended XYZ:
```
4
Lattice="5.2763 -1.7515 0.0000 5.2763 1.7515 0.0000 -2.0046 0.0000 4.1495" Properties=species:S:1:pos:R:3 pbc="T T T"
Zr 0.0000 0.0000 0.0000
Zr 1.0048 0.0000 3.0452
Re 7.1838 0.0000 0.9251
Au 4.0412 0.0000 1.9608
```

## Properties
SG = Cm
E_form = -0.158 eV/atom
E above lowest polymorph = 254 meV/atom

=====

Compound: BaTl2Se
Source: Alexandria
Functional: PBE
Structure: relaxed

Cell and atoms, written as extended XYZ:
```
4
Lattice="-2.5287 2.5287 5.0227 2.5287 -2.5287 5.0227 2.5287 2.5287 -5.0227" Properties=species:S:1:pos:R:3 pbc="T T T"
Ba 0.0000 0.0000 0.0000
Tl 0.0000 0.0000 5.0227
Tl 0.0000 2.5287 2.5113
Se 2.5287 0.0000 2.5113
```

## Properties
SG = I-4m2
Raw formation energy = -2.48 eV/f.u.

=====

Compound: BaTa2Au
Source: Alexandria
Functional: PBE
Structure: relaxed

Cell and atoms, written as extended XYZ:
```
4
Lattice="3.1049 0.0000 0.0000 0.0000 5.3072 0.0000 0.0000 0.0000 5.4906" Properties=species:S:1:pos:R:3 pbc="T T T"
Ba 0.0000 0.0000 0.0000
Ta 0.0000 2.6536 2.7453
Ta 1.5525 0.0000 2.7453
Au 1.5525 2.6536 0.0000
```

## Properties
SG = Pmmm
E_form = 0.785 eV/atom
E above lowest polymorph = 484 meV/atom

=====

Compound: BeIrBr
Source: Alexandria
Functional: PBE
Structure: relaxed

Cell and atoms, written as extended XYZ:
```
3
-- stop --
Next-generation fuel and fire spread models to inform prescribed fire
Principal Investigators – Ellis Margolis, Kevin Heirs (Strategic Environmental Research and Development Program, SERDP), Rod Linn (Los Alamos National Laboratory, LANL)
Climate change will continue to drive fire-catalyzed ecological transformations, such as the conversion of forests to non-forest landscapes, creating a moving target for resource managers. Increased understanding of fire behavior across a range of climate scenarios in different ecological settings is key for climate-informed management. We are combining lidar (light detection and ranging) and local field data to create three-dimensional, fine-scale representations of vegetation (fuels) to drive advanced models. Modeling will occur in three important ecological contexts within the Resist-Accept-Direct (RAD) framework: partially transformed forests at the edge of refugia (Resist), transformed forests that are now shrubs (Accept), and forests that are transition between dry and wet mixed conifer ecosystems (Direct). Fire behavior projections will be integrated into fire and vegetation management plans and actions of our key National Park Service (NPS) and U.S. Forest Service (USFS) management partners in the upper Rio Grande Basin, New Mexico.
Post-fire Recovery Patterns in Southwestern Forests
Jens T Stevens (former USGS), Ellis Margolis, and Craig Allen (University of New Mexico emeritus).
High-severity crown (treetop to treetop) fires in southwestern dry-conifer forests — resulting from fire suppression, fuel buildups, and drought — are creating large, treeless areas that are historically unprecedented in size and unlikely to recover to their pre-fire state. These recent stand-replacing fires have reset extensive portions of southwest forest landscapes, fostering post-fire successional vegetation that can alter ecological recovery trajectories away from pre-fire forest types toward persistent non-forested ecosystems (shrublands and grasslands) at the scales of mountain ranges, the Southwest, and western North America. Our team studies areas that burned during recent persistent regional droughts (since 1996) that are recovering under hotter drought conditions that simulate projected future climate trends. This research improves our understanding of Southwest landscape changes in response to land use and climate, contributing to a framework for informed post-fire land management decisions regarding adaptation or mitigation strategies to sustain forests under projected “hotter drought” conditions.
Impacts of changing climate and disturbance regimes on forest ecosystem resilience in the Southern Rocky Mountains
New Mexico Tree-Ring Science
The New Mexico Landscapes Field Station
New Mexico Landscapes Field Station: Forest Ecosystem Research
Synthesis of the new North American tree-ring fire-scar network: using past and present fire-climate relationships to improve projections of future wildfire
Delivering the North American tree-ring fire history network through a web application and an R package
Post-fire Recovery Patterns in Southwestern Forests
Post-fire debris-flow hazard model output files, Santa Fe Municipal Watershed, New Mexico
North American tree-ring fire-scar site descriptions
Spatiotemporal synchrony of climate and fire occurrence across North American forests (1750-1880)
Contemporary fires are less frequent but more severe in dry conifer forests of the southwestern United States
Trees have similar growth responses to first-entry fires and reburns following long-term fire exclusion
Pre-fire assessment of post-fire debris flow hazards in the Santa Fe Municipal Watershed
Multi-decadal vegetation transformations of a New Mexico ponderosa pine landscape after severe fires and aerial seeding
Historical fire regimes and contemporary fire effects within sagebrush habitats of Gunnison Sage-grouse
Indigenous fire management and cross-scale fire-climate relationships in the Southwest United States from 1500 to 1900 CE
Reimagine fire science for the anthropocene
The North American tree-ring fire-scar network
Tamm review: Postfire landscape management in frequent-fire conifer forests of the southwestern United States
Native American fire management at an ancient wildland–urban interface in the Southwest United States
Valleys of fire: Historical fire regimes of forest-grassland ecotones across the montane landscape of the Valles Caldera National Preserve, New Mexico, USA
Below are ongoing or completed research projects related to fire at the New Mexico Landscapes Field Station.
Fire history and ecology
Principal Investigator – Ellis Margolis
Wildfire is not a new phenomenon; it has been influencing landscapes and the lives of plants, animals and people for centuries to millennia. Fire in wildlands can increase the resilience of fire-adapted ecosystems, improve wildlife habitat, and reduce future wildfire risk. However, increases in wildfire size, frequency, severity, and duration are changing the landscape of the United States, killing large tracts of forest, affecting air quality and water supplies, as well as threatening lives and property. These changes in fire are highly influenced by human land use and climate change. We combined tree-ring fire scars with modern fire data and other paleo records (for example, lake cores) as part of a place-based science approach to establish a historical record of fire to better understand patterns and drivers of change that inform present-day fire management practices.
Next-generation fuel and fire spread models to inform prescribed fire
Principal Investigators – Ellis Margolis, Kevin Heirs (Strategic Environmental Research and Development Program, SERDP), Rod Linn (Los Alamos National Laboratory, LANL)
Climate change will continue to drive fire-catalyzed ecological transformations, such as the conversion of forests to non-forest landscapes, creating a moving target for resource managers. Increased understanding of fire behavior across a range of climate scenarios in different ecological settings is key for climate-informed management. We are combining lidar (light detection and ranging) and local field data to create three-dimensional, fine-scale representations of vegetation (fuels) to drive advanced models. Modeling will occur in three important ecological contexts within the Resist-Accept-Direct (RAD) framework: partially transformed forests at the edge of refugia (Resist), transformed forests that are now shrubs (Accept), and forests that are transition between dry and wet mixed conifer ecosystems (Direct). Fire behavior projections will be integrated into fire and vegetation management plans and actions of our key National Park Service (NPS) and U.S. Forest Service (USFS) management partners in the upper Rio Grande Basin, New Mexico.
Post-fire Recovery Patterns in Southwestern Forests
Jens T Stevens (former USGS), Ellis Margolis, and Craig Allen (University of New Mexico emeritus).
High-severity crown (treetop to treetop) fires in southwestern dry-conifer forests — resulting from fire suppression, fuel buildups, and drought — are creating large, treeless areas that are historically unprecedented in size and unlikely to recover to their pre-fire state. These recent stand-replacing fires have reset extensive portions of southwest forest landscapes, fostering post-fire successional vegetation that can alter ecological recovery trajectories away from pre-fire forest types toward persistent non-forested ecosystems (shrublands and grasslands) at the scales of mountain ranges, the Southwest, and western North America. Our team studies areas that burned during recent persistent regional droughts (since 1996) that are recovering under hotter drought conditions that simulate projected future climate trends. This research improves our understanding of Southwest landscape changes in response to land use and climate, contributing to a framework for informed post-fire land management decisions regarding adaptation or mitigation strategies to sustain forests under projected “hotter drought” conditions.